It remains to search the material further down for the word "multiplicity" and retype each line that has it.
/*
Molecular formula: C24H18N4O3S2Zr
Method: DFT, ωB97M-V with the def2-TZVPD basis set

Values from the calculation:
Spin multiplicity: 1
Maximum force: 0.3 eV Å⁻¹
Energy: -60223.5677 eV
Gap between HOMO and LUMO: 6.10 eV
Total charge: +2

```
52
Properties=species:S:1:pos:R:3:forces:R:3
Zr 0.0255 -0.1093 -0.1581 0.14 -0.05 -0.03
N 0.3441 1.9930 0.7863 0.01 0.03 0.13
C 1.8048 2.0387 1.1570 -0.02 -0.01 0.10
C 2.6190 1.5025 -0.0180 -0.19 -0.02 0.03
O 3.6352 2.0141 -0.3888 0.07 -0.08 -0.01
N 1.9813 0.4104 -0.6076 -0.06 0.07 -0.12
C 2.4865 0.0002 -1.9273 -0.04 0.07 0.18
C 1.3165 -0.4986 -2.7685 0.32 0.01 -0.15
O 1.3532 -0.8369 -3.8920 -0.11 0.00 0.04
O 0.1352 -0.5404 -2.0009 -0.21 -0.19 0.01
H -0.2165 2.2214 1.6070 -0.01 -0.01 0.01
H 0.1695 2.7563 0.1312 0.00 -0.01 -0.03
H 2.1233 3.0459 1.4125 -0.01 0.02 -0.06
H 1.9538 1.3999 2.0302 0.02 0.03 0.01
H 2.9727 0.8368 -2.4318 0.00 -0.01 -0.02
H 3.2269 -0.7996 -1.8684 -0.01 -0.03 0.01
S 2.8798 -5.4213 3.8639 -0.04 0.00 -0.01
C 4.5592 -5.5181 3.6301 0.06 -0.02 0.00
C 5.0129 -4.5988 2.7297 -0.05 0.00 0.05
C 3.9678 -3.7974 2.2228 -0.02 0.03 -0.09
C 2.7374 -4.1257 2.7382 -0.01 -0.02 0.05
C 1.4467 -3.5209 2.4372 -0.01 0.00 0.00
C 1.3626 -2.4180 1.5754 0.01 0.00 -0.01
N 0.2147 -1.8109 1.2655 0.11 0.04 -0.10
C -0.9575 -2.2621 1.8011 -0.05 0.07 -0.04
C -0.9741 -3.3619 2.6590 -0.08 0.00 0.00
C -2.2359 -3.8112 3.1900 0.09 -0.02 0.00
C -3.3833 -3.1783 2.8795 -0.05 0.06 -0.04
C -3.3868 -2.0278 2.0118 0.01 -0.06 0.05
C -4.5519 -1.3252 1.6825 -0.05 -0.02 0.01
C -4.5151 -0.2125 0.8547 -0.02 -0.02 -0.01
C -3.2498 0.1491 0.3603 -0.02 -0.01 -0.01
N -2.1248 -0.4967 0.6521 0.02 0.14 0.02
C -2.1779 -1.5809 1.4763 0.10 0.02 0.01
C -5.7033 0.5549 0.5053 0.04 -0.01 -0.06
C -6.9789 0.3894 0.9795 -0.03 0.00 0.10
C -7.8940 1.3245 0.4453 0.04 -0.01 -0.06
C -7.3025 2.1784 -0.4378 -0.06 0.01 0.02
S -5.6432 1.8585 -0.6232 0.05 0.01 0.00
C 0.2448 -3.9790 2.9629 0.05 -0.06 0.03
H 5.1325 -6.2541 4.1713 0.00 0.01 0.00
H 6.0491 -4.5031 2.4446 0.00 0.00 0.00
H 4.1309 -3.0173 1.4919 0.03 -0.01 0.00
H 2.2548 -2.0083 1.1202 0.00 0.01 -0.01
H -2.2391 -4.6720 3.8456 -0.01 0.00 0.00
H -4.3277 -3.5218 3.2808 0.00 0.00 0.00
H -5.4959 -1.6682 2.0867 0.01 0.00 0.00
H -3.1606 1.0004 -0.3065 0.01 0.01 0.01
H -7.2657 -0.3634 1.7003 0.00 0.01 -0.01
H -8.9419 1.3624 0.6996 0.00 -0.01 0.00
H -7.7590 2.9814 -0.9941 0.00 -0.01 0.00
H 0.2406 -4.8366 3.6261 -0.02 0.01 0.00
```
Forces are in eV/Å.

----------

Density functional theory data (ωB97M-V/def2-TZVPD) for C38H42Br2F5KN5OSSi as an isolated structure at a distorted geometry.

HOMO	-3.9	eV
LUMO energy	1.91	eV
net charge	-1
DFT total energy	-8757.3152	Ha

Element x y z (Å)
K -0.42 0.43 -0.86
C 1.76 -3.22 1.56
C 1.35 -2.22 0.47
N 2.26 -2.12 -0.65
C 3.57 -1.57 -0.38
C 3.58 -0.04 -0.44
C 2.10 -3.08 -1.72
C 0.81 -2.86 -2.51
N 0.57 -1.47 -2.79
C 0.85 -0.90 -3.96
C 0.68 0.52 -4.06
F 0.38 1.17 -2.90
C 0.84 1.25 -5.20
F 0.64 2.58 -5.15
C 1.21 0.66 -6.40
C 1.44 -0.70 -6.34
F 1.84 -1.35 -7.46
C 1.29 -1.46 -5.20
F 1.56 -2.79 -5.29
H 1.00 -3.23 2.36
H 1.84 -4.23 1.16
H 2.71 -2.96 2.02
H 0.36 -2.48 0.09
H 1.25 -1.23 0.93
H 3.95 -1.91 0.60
H 4.27 -1.96 -1.12
H 2.97 0.39 0.36
H 4.60 0.35 -0.35
H 3.16 0.28 -1.39
H 2.95 -2.95 -2.40
H 2.13 -4.13 -1.36
H 0.85 -3.52 -3.38
H -0.03 -3.23 -1.90
H 1.33 1.22 -7.31
Br -4.21 -1.93 5.25
C -3.35 -1.27 3.70
C -2.48 -0.21 3.79
C -1.86 0.21 2.62
N -2.07 -0.37 1.44
C -2.94 -1.38 1.37
C -3.60 -1.88 2.48
C -3.18 -1.94 -0.01
C -4.33 -2.67 -0.30
C -4.50 -3.11 -1.60
Br -6.05 -4.11 -2.04
C -3.56 -2.83 -2.57
C -2.46 -2.09 -2.18
N -2.27 -1.65 -0.93
H -2.26 0.28 4.73
H -1.15 1.02 2.64
H -4.27 -2.72 2.42
H -5.08 -2.87 0.45
H -3.69 -3.15 -3.59
H -1.67 -1.82 -2.88
C -2.82 4.24 -3.13
Si -3.11 2.88 -1.86
C -4.79 3.22 -1.07
C -3.31 1.27 -2.81
N -1.85 2.66 -0.76
C -1.39 3.55 0.13
C -1.89 4.86 0.37
C -1.38 5.72 1.33
C -0.32 5.35 2.14
C 0.23 4.09 1.95
C -0.29 3.25 0.99
F 0.33 2.02 0.84
H -3.38 4.04 -4.05
H -1.76 4.30 -3.39
H -3.13 5.22 -2.76
H -5.59 3.22 -1.82
H -4.81 4.19 -0.57
*/
Spin multiplicity: 1